-- Assignment --
What is needed: start at the top of the block further down and return each line, ending with the one that has "5.58620 -1.00330".

-- Given --
~~~
52
Properties=species:S:1:pos:R:3 method="wB97M-V/def2-TZVPD" e_above_lowest_kcal_mol=48.2 lumo_energy_ha=0.0210 smiles="C=CC[C@H](C[C@@H](O)COCCC)C(=O)NNC(=S)Nc1ccccc1" homo_lumo_gap_ev=9.10 e_homo_ev=-8.53
C -4.23331 -3.91320 -0.28877
C -3.21405 -3.12360 -0.00938
C -3.27046 -1.99089 0.96660
C -2.89654 -0.64175 0.31455
C -3.81921 -0.33709 -0.86653
C -3.88683 1.14998 -1.25765
O -4.48162 1.93390 -0.25203
C -2.51835 1.73012 -1.63752
O -1.78716 1.95544 -0.44854
C -0.51443 2.51582 -0.68021
C 0.09287 2.95203 0.64814
C 1.51394 3.47007 0.47409
C -1.44855 -0.70348 -0.13111
O -1.05397 -0.93926 -1.25891
N -0.56751 -0.57458 0.88888
N 0.79122 -0.61237 0.61554
C 1.69467 -0.27265 1.54329
S 1.21771 0.13790 3.08391
N 3.01694 -0.29998 1.23248
C 3.65681 -0.48129 0.00343
C 3.11473 -0.04655 -1.20437
C 3.81038 -0.24032 -2.38440
C 5.05092 -0.85356 -2.37978
C 5.60713 -1.25942 -1.17752
C 4.91938 -1.07381 0.00538
H -4.15288 -4.72188 -0.99458
H -5.19408 -3.78789 0.18402
H -2.26132 -3.26672 -0.50102
H -2.57624 -2.19114 1.78863
H -4.27632 -1.91248 1.38323
H -2.99444 0.13943 1.07323
H -4.83297 -0.65063 -0.61321
H -3.48611 -0.91242 -1.73127
H -4.54680 1.23045 -2.13030
H -3.77949 2.17908 0.36444
H -1.98187 1.03625 -2.29670
H -2.65498 2.68573 -2.16664
H 0.12669 1.77344 -1.18177
H -0.60502 3.38282 -1.35275
H -0.53722 3.73174 1.07904
H 0.08956 2.11026 1.34060
H 1.92091 3.76840 1.43642
H 1.53184 4.33012 -0.19168
H 2.15885 2.69996 0.05531
H -0.77007 -0.27237 1.83841
H 0.99812 -0.95388 -0.31674
H 3.61967 -0.23759 2.04250
H 2.17273 0.47918 -1.22853
H 3.37787 0.10060 -3.31284
H 5.58620 -1.00330 -3.30439
H 6.58119 -1.72444 -1.16048
H 5.35375 -1.38942 0.94292

58
Properties=species:S:1:pos:R:3 method="wB97M-V/def2-TZVPD" e_above_lowest_kcal_mol=15.1 lumo_energy_ha="-0.5514 / -0.5356" charge=+4 multiplicity=2 s2=0.76 homo_lumo_gap_ev="4.80 / 5.24" e_homo_ev="-19.81 / -19.82"
W -0.16847 -1.23093 0.44522
N 1.12383 0.41926 3.38829
C 0.51154 -0.74867 3.54767
N -0.03068 -1.48488 2.52626
C -0.65908 -2.64331 3.04239
C -0.61322 -2.75422 4.37017
S 0.24070 -1.42969 5.08589
C -1.24249 -3.51211 2.04364
C -1.94094 -4.63499 2.19264
S -2.36809 -5.32154 0.66924
C -1.59541 -4.04178 -0.15640
N -1.04121 -3.11363 0.68584
N -1.60022 -3.98881 -1.47764
H 1.54879 0.67353 2.50826
H 1.51274 0.88280 4.20159
H -1.00665 -3.54802 4.99017
H -2.22220 -5.12635 3.11368
H -2.07405 -4.71812 -1.99856
H -0.91169 -3.46938 -2.00026
C 2.71196 3.03675 -2.78832
C 1.75551 1.88418 -2.86324
O 1.86017 1.08467 -1.56363
P 1.98168 -0.44855 -1.54911
S 0.09933 -1.26214 -1.90649
S 2.15483 -0.89289 0.48101
O 3.01269 -1.04202 -2.46549
C 4.54136 -0.78067 -2.60118
C 5.24811 -2.09533 -2.55432
H 2.57813 3.64231 -3.68680
H 3.74929 2.70473 -2.75645
H 2.50757 3.66528 -1.92243
H 1.97260 1.21148 -3.69259
H 0.71532 2.19490 -2.90556
H 4.81331 -0.09794 -1.79846
H 4.61152 -0.28299 -3.56260
H 5.07399 -2.62543 -1.61851
H 6.31854 -1.88572 -2.62193
H 4.97574 -2.72777 -3.39678
C -2.44015 0.61309 2.41514
P -1.78457 0.68204 0.72768
C -2.97018 -0.29942 -0.25794
C -1.85608 2.37076 0.19215
C -1.27949 3.34357 1.02214
C -1.54035 4.67549 0.76810
C -2.35494 5.03236 -0.30642
C -2.89080 4.06186 -1.14787
C -2.63270 2.71980 -0.91941
H -1.74851 1.07548 3.11820
H -2.65875 -0.40940 2.72175
H -3.36041 1.20021 2.39944
H -3.96938 0.08226 -0.02332
H -2.97394 -1.36078 0.01002
H -2.78468 -0.19629 -1.32453
H -0.64761 3.07051 1.86053
H -1.11822 5.43862 1.40921
H -2.56981 6.07708 -0.49135
H -3.51706 4.34734 -1.98322
H -3.04722 1.98340 -1.59551

51
Properties=species:S:1:pos:R:3 method="wB97M-V/def2-TZVPD" e_above_lowest_kcal_mol=0.0 lumo_energy_ha=0.0247 smiles="CC(C)(C)c1ccc(CS(=O)(=O)C[C@@H](O)CN2CCCC2=O)cc1" homo_lumo_gap_ev=9.76 e_homo_ev=-9.08
C 1.26104 3.45798 -1.10853
C -0.18511 3.29142 -1.59680
C -0.93463 4.62696 -1.48317
C -0.14973 2.89047 -3.07357
C -0.87729 2.25725 -0.72595
C -1.40586 1.07180 -1.22559
C -1.99599 0.13836 -0.39151
C -2.07346 0.35877 0.97836
C -2.56947 -0.70875 1.88071
S -1.25393 -1.98333 2.03547
O -1.05267 -2.58812 0.74107
~~~

-- Solution --
52
Properties=species:S:1:pos:R:3 method="wB97M-V/def2-TZVPD" e_above_lowest_kcal_mol=48.2 lumo_energy_ha=0.0210 smiles="C=CC[C@H](C[C@@H](O)COCCC)C(=O)NNC(=S)Nc1ccccc1" homo_lumo_gap_ev=9.10 e_homo_ev=-8.53
C -4.23331 -3.91320 -0.28877
C -3.21405 -3.12360 -0.00938
C -3.27046 -1.99089 0.96660
C -2.89654 -0.64175 0.31455
C -3.81921 -0.33709 -0.86653
C -3.88683 1.14998 -1.25765
O -4.48162 1.93390 -0.25203
C -2.51835 1.73012 -1.63752
O -1.78716 1.95544 -0.44854
C -0.51443 2.51582 -0.68021
C 0.09287 2.95203 0.64814
C 1.51394 3.47007 0.47409
C -1.44855 -0.70348 -0.13111
O -1.05397 -0.93926 -1.25891
N -0.56751 -0.57458 0.88888
N 0.79122 -0.61237 0.61554
C 1.69467 -0.27265 1.54329
S 1.21771 0.13790 3.08391
N 3.01694 -0.29998 1.23248
C 3.65681 -0.48129 0.00343
C 3.11473 -0.04655 -1.20437
C 3.81038 -0.24032 -2.38440
C 5.05092 -0.85356 -2.37978
C 5.60713 -1.25942 -1.17752
C 4.91938 -1.07381 0.00538
H -4.15288 -4.72188 -0.99458
H -5.19408 -3.78789 0.18402
H -2.26132 -3.26672 -0.50102
H -2.57624 -2.19114 1.78863
H -4.27632 -1.91248 1.38323
H -2.99444 0.13943 1.07323
H -4.83297 -0.65063 -0.61321
H -3.48611 -0.91242 -1.73127
H -4.54680 1.23045 -2.13030
H -3.77949 2.17908 0.36444
H -1.98187 1.03625 -2.29670
H -2.65498 2.68573 -2.16664
H 0.12669 1.77344 -1.18177
H -0.60502 3.38282 -1.35275
H -0.53722 3.73174 1.07904
H 0.08956 2.11026 1.34060
H 1.92091 3.76840 1.43642
H 1.53184 4.33012 -0.19168
H 2.15885 2.69996 0.05531
H -0.77007 -0.27237 1.83841
H 0.99812 -0.95388 -0.31674
H 3.61967 -0.23759 2.04250
H 2.17273 0.47918 -1.22853
H 3.37787 0.10060 -3.31284
H 5.58620 -1.00330 -3.30439